Data >
Formula: C30H39N6SeSiTi
Source: the Open Molecules 2025 dataset
Level of theory: the ωB97M-V functional and the def2-TZVPD basis

```
78
C30H39N6SeSiTi | the Open Molecules 2025 dataset | the ωB97M-V functional and the def2-TZVPD basis
Ti 7.26 -15.79 -0.46
C 9.50 -17.18 -2.01
C 10.31 -16.00 -1.54
N 9.43 -14.92 -0.96
C 9.36 -13.65 -1.79
C 7.93 -13.14 -1.89
N 6.94 -14.23 -2.05
C 6.80 -14.97 -3.34
C 7.96 -15.98 -3.51
N 8.09 -16.78 -2.24
H 9.67 -18.06 -1.30
H 9.96 -17.55 -2.96
H 10.86 -15.62 -2.47
H 11.07 -16.28 -0.75
H 9.77 -14.73 -0.02
H 9.78 -13.85 -2.78
H 9.97 -12.86 -1.32
H 7.85 -12.38 -2.70
H 7.74 -12.63 -0.93
H 6.03 -13.89 -1.71
H 6.74 -14.23 -4.17
H 5.84 -15.51 -3.31
H 8.89 -15.57 -3.85
H 7.66 -16.63 -4.34
H 7.50 -17.59 -2.39
C 4.28 -12.84 0.23
Si 5.87 -12.82 1.38
C 6.48 -11.02 1.29
C 5.26 -13.35 3.03
C 7.17 -14.10 0.86
H 3.42 -12.46 0.82
H 4.06 -13.86 0.01
H 4.39 -12.24 -0.72
H 6.13 -10.44 2.14
H 6.16 -10.54 0.33
H 7.60 -11.02 1.30
H 4.57 -12.62 3.46
H 6.11 -13.46 3.71
H 4.68 -14.28 2.92
H 7.57 -14.66 1.75
H 7.98 -13.42 0.50
Se 4.66 -19.41 -3.35
N 3.75 -19.57 -1.77
C 3.79 -18.46 -1.10
C 2.97 -18.13 0.02
C 3.24 -16.93 0.66
C 4.44 -16.26 0.40
N 5.27 -16.53 -0.65
C 4.89 -17.56 -1.51
N 5.52 -17.91 -2.63
H 2.17 -18.78 0.34
H 2.51 -16.53 1.34
H 4.82 -15.51 1.10
C 7.96 -17.13 0.77
C 8.42 -18.01 1.57
C 8.98 -19.07 2.28
C 10.32 -19.41 1.83
C 10.73 -20.76 1.75
C 12.00 -21.08 1.29
C 12.91 -20.04 0.93
C 12.50 -18.69 1.03
C 11.24 -18.39 1.52
C 8.27 -19.71 3.36
C 8.88 -20.63 4.25
C 8.16 -21.22 5.28
C 6.81 -20.79 5.56
C 6.22 -19.88 4.71
C 6.92 -19.37 3.57
H 10.03 -21.53 1.96
H 12.33 -22.12 1.24
H 13.92 -20.26 0.61
H 13.18 -17.89 0.81
H 10.87 -17.38 1.69
H 9.91 -20.93 4.04
H 8.52 -22.09 5.81
H 6.26 -21.27 6.38
H 5.25 -19.46 4.98
H 6.40 -18.80 2.79
```

total charge = -1
⟨S²⟩ = 2.04
HOMO level (spin up / spin down) = -2.38 / -2.41 eV
energy relative to the best compared isomer or geometry (same formula, charge and spin) = 0.0000 eV
spin multiplicity = 3
max |F| = 4.348 eV/Å

Atomic partial charges in e from the Mulliken method, atoms 1 to 4: atom 1 (Ti): 0.06, atom 2 (C): -0.63, atom 3 (C): -0.55, atom 4 (N): -0.34


Formula: C30H39N6SeSiTi
Source: the Open Molecules 2025 dataset
Level of theory: the ωB97M-V functional and the def2-TZVPD basis

```
78
C30H39N6SeSiTi | the Open Molecules 2025 dataset | the ωB97M-V functional and the def2-TZVPD basis
Ti 10.93 8.94 12.22
C 12.70 5.74 12.40
C 11.35 5.71 11.65
N 10.41 6.85 12.00
C 9.77 6.71 13.33
C 10.77 6.93 14.46
N 11.46 8.26 14.23
C 12.89 8.30 14.63
C 13.88 7.52 13.71
N 13.28 7.04 12.49
H 13.36 4.99 11.89
H 12.56 5.27 13.39
H 10.89 4.71 11.91
H 11.52 5.63 10.57
H 9.70 6.86 11.26
H 9.30 5.70 13.47
H 8.95 7.48 13.39
H 11.50 6.13 14.53
H 10.22 6.92 15.40
H 11.07 8.96 14.87
H 12.98 7.92 15.66
H 13.20 9.34 14.66
H 14.33 6.71 14.34
H 14.66 8.28 13.48
H 13.71 7.41 11.63
C 6.51 8.04 10.65
Si 7.94 8.77 9.65
C 8.35 7.66 8.17
C 7.32 10.42 8.89
C 9.43 9.30 10.75
H 5.58 7.77 10.02
H 6.25 8.82 11.36
H 6.72 7.12 11.25
H 7.43 7.25 7.68
H 9.04 6.82 8.38
H 8.87 8.26 7.40
H 6.60 10.29 8.04
H 8.22 10.93 8.45
H 6.90 11.13 9.62
H 8.98 10.21 11.20
H 10.16 9.63 10.00
Se 7.33 10.06 14.74
N 7.97 11.65 15.48
C 9.19 11.88 15.03
C 10.05 12.97 15.31
C 11.18 13.06 14.54
C 11.57 12.05 13.64
N 10.89 10.90 13.45
C 9.71 10.81 14.12
N 8.93 9.75 13.94
H 9.75 13.72 16.08
H 11.90 13.88 14.69
H 12.53 12.11 13.11
C 12.49 9.34 11.16
C 13.14 9.14 10.09
C 13.91 8.85 9.00
C 13.51 7.66 8.27
C 14.43 6.80 7.73
C 14.05 5.67 7.00
C 12.70 5.44 6.77
C 11.74 6.21 7.50
C 12.14 7.35 8.15
C 14.98 9.72 8.65
C 15.26 10.80 9.48
C 16.31 11.65 9.25
C 17.15 11.39 8.15
C 16.90 10.31 7.31
C 15.80 9.50 7.52
H 15.51 6.98 7.87
H 14.83 5.04 6.58
H 12.35 4.60 6.16
H 10.69 5.88 7.52
H 11.39 8.09 8.49
H 14.66 10.85 10.39
H 16.52 12.54 9.82
H 17.95 12.09 7.90
H 17.58 10.10 6.48
H 15.54 8.74 6.76
```

total charge = -1
⟨S²⟩ = 2.04
HOMO level (spin up / spin down) = -2.53 / -2.54 eV

What to do >
Now count the lines above that contain the word "up" and give the number alone.

Completed >
2